Excerpt >
- - -
# 1
The following is a theoretical powder diffraction line list of ZnCuC8N5. It was derived from the PBE geometry in the Materials Project, using copper Kα.
Kinematic intensities with the Lorentz-polarization factor, no thermal factor.

Peak list (6 most intense, 10° ≤ 2θ ≤ 80°, by angle)
13.1 deg, d 6.760, I 91; 21.5 deg, d 4.140, I 100; 33.4 deg, d 2.686, I 25; 37.6 deg, d 2.390, I 27; 45.8 deg, d 1.979, I 18; 59.0 deg, d 1.565, I 20

Crystal structure
a b c (Å): 8.2799 8.2799 8.2799
angles (deg): 60.00 60.00 60.00
Sites, in units of the cell vectors:
Zn 0.0000 0.0000 0.0000
Cu 0.7500 0.7500 0.7500
C 0.0330 0.3223 0.3223
C 0.3223 0.0330 0.3223
C 0.3223 0.3223 0.0330
C 0.3223 0.3223 0.3223
C 0.4634 0.8455 0.8455
C 0.8455 0.4634 0.8455
C 0.8455 0.8455 0.4634
C 0.8455 0.8455 0.8455
N 0.2500 0.2500 0.2500
N 0.2903 0.9032 0.9032
N 0.9032 0.2903 0.9032
N 0.9032 0.9032 0.2903
N 0.9032 0.9032 0.9032

=====

# 2
The following is a theoretical powder diffraction line list of KLa2Ag3Te8. It was derived from the PBE geometry in the Materials Project, using copper Kα.
Kinematic intensities with the Lorentz-polarization factor, no thermal factor.

Peak list (6 most intense, 10° ≤ 2θ ≤ 80°, by angle)
12.2 deg, d 7.238, I 32; 28.8 deg, d 3.102, I 30; 29.5 deg, d 3.023, I 51; 31.0 deg, d 2.887, I 49; 32.9 deg, d 2.723, I 100; 40.5 deg, d 2.226, I 75

Crystal structure
a b c (Å): 4.4515 4.4515 21.7144
angles (deg): 90.00 90.00 90.00
Sites, in units of the cell vectors:
K 0.0000 0.0000 0.0000
La 0.0000 0.0000 0.4597
La 0.5000 0.5000 0.2612
Ag 0.0000 0.5000 0.8381
Ag 0.5000 0.0000 0.8381
Ag 0.5000 0.5000 0.7460
Te 0.0000 0.0000 0.3038
Te 0.0000 0.0000 0.7430
Te 0.0000 0.5000 0.1422
Te 0.0000 0.5000 0.5796
Te 0.5000 0.0000 0.1422
Te 0.5000 0.0000 0.5796
Te 0.5000 0.5000 0.4169
Te 0.5000 0.5000 0.9222

=====

# 3
The following is a theoretical powder diffraction line list of Cs3Li2Br5. It was derived from the PBE geometry in the Materials Project, using copper Kα.
Kinematic intensities with the Lorentz-polarization factor, no thermal factor.

Peak list (6 most intense, 10° ≤ 2θ ≤ 80°, by angle)
27.6 deg, d 3.227, I 50; 28.1 deg, d 3.171, I 100; 28.3 deg, d 3.157, I 97; 28.6 deg, d 3.119, I 47; 40.2 deg, d 2.243, I 33; 49.2 deg, d 1.851, I 35

Crystal structure
a b c (Å): 13.4635 13.4635 4.4640
angles (deg): 99.46 99.46 147.00
Sites, in units of the cell vectors:
Cs 0.0000 0.0000 0.0000
Cs 0.3835 0.6289 0.5297
Cs 0.6289 0.3835 0.5297
Li 0.2583 0.8263 0.5704
Li 0.8263 0.2583 0.5704
Br 0.1158 0.8780 0.5158
Br 0.2067 0.6825 0.9742
Br 0.4986 0.4986 0.0023
Br 0.6825 0.2067 0.9742
Br 0.8780 0.1158 0.5158

=====

# 4
The following is a theoretical powder diffraction line list of KErC2O6. It was derived from the PBE geometry in the Materials Project, using copper Kα.
Kinematic intensities with the Lorentz-polarization factor, no thermal factor.

Peak list (6 most intense, 10° ≤ 2θ ≤ 80°, by angle)
14.5 deg, d 6.104, I 100; 22.3 deg, d 3.983, I 26; 23.2 deg, d 3.828, I 40; 27.6 deg, d 3.235, I 46; 28.7 deg, d 3.108, I 87; 35.8 deg, d 2.508, I 26

Crystal structure
a b c (Å): 6.3821 6.3821 6.9253
angles (deg): 103.78 103.78 96.17
Sites, in units of the cell vectors:
K 0.1203 0.8797 0.7500
K 0.8797 0.1203 0.2500
Er 0.4041 0.5959 0.2500
Er 0.5959 0.4041 0.7500
C 0.1453 0.3900 0.7429
C 0.3900 0.1453 0.2429
C 0.6100 0.8547 0.7571
C 0.8547 0.6100 0.2571
O 0.0580 0.6046 0.2794
O 0.2166 0.2495 0.6165
O 0.2495 0.2166 0.1165
O 0.2978 0.5337 0.8934
O 0.3954 0.9420 0.2206
O 0.4663 0.7022 0.6066
O 0.5337 0.2978 0.3934
O 0.6046 0.0580 0.7794
O 0.7022 0.4663 0.1066
O 0.7505 0.7834 0.8835
O 0.7834 0.7505 0.3835
O 0.9420 0.3954 0.7206

=====

# 5
The following is a theoretical powder diffraction line list of Sr5Sn3. It was derived from the PBE geometry in the Materials Project, using copper Kα.
Kinematic intensities with the Lorentz-polarization factor, no thermal factor.

Peak list (6 most intense, 10° ≤ 2θ ≤ 80°, by angle)
- - -

To do >
Next, give back everything above without additions.

Outcome >
# 1
The following is a theoretical powder diffraction line list of ZnCuC8N5. It was derived from the PBE geometry in the Materials Project, using copper Kα.
Kinematic intensities with the Lorentz-polarization factor, no thermal factor.

Peak list (6 most intense, 10° ≤ 2θ ≤ 80°, by angle)
13.1 deg, d 6.760, I 91; 21.5 deg, d 4.140, I 100; 33.4 deg, d 2.686, I 25; 37.6 deg, d 2.390, I 27; 45.8 deg, d 1.979, I 18; 59.0 deg, d 1.565, I 20

Crystal structure
a b c (Å): 8.2799 8.2799 8.2799
angles (deg): 60.00 60.00 60.00
Sites, in units of the cell vectors:
Zn 0.0000 0.0000 0.0000
Cu 0.7500 0.7500 0.7500
C 0.0330 0.3223 0.3223
C 0.3223 0.0330 0.3223
C 0.3223 0.3223 0.0330
C 0.3223 0.3223 0.3223
C 0.4634 0.8455 0.8455
C 0.8455 0.4634 0.8455
C 0.8455 0.8455 0.4634
C 0.8455 0.8455 0.8455
N 0.2500 0.2500 0.2500
N 0.2903 0.9032 0.9032
N 0.9032 0.2903 0.9032
N 0.9032 0.9032 0.2903
N 0.9032 0.9032 0.9032

=====

# 2
The following is a theoretical powder diffraction line list of KLa2Ag3Te8. It was derived from the PBE geometry in the Materials Project, using copper Kα.
Kinematic intensities with the Lorentz-polarization factor, no thermal factor.

Peak list (6 most intense, 10° ≤ 2θ ≤ 80°, by angle)
12.2 deg, d 7.238, I 32; 28.8 deg, d 3.102, I 30; 29.5 deg, d 3.023, I 51; 31.0 deg, d 2.887, I 49; 32.9 deg, d 2.723, I 100; 40.5 deg, d 2.226, I 75

Crystal structure
a b c (Å): 4.4515 4.4515 21.7144
angles (deg): 90.00 90.00 90.00
Sites, in units of the cell vectors:
K 0.0000 0.0000 0.0000
La 0.0000 0.0000 0.4597
La 0.5000 0.5000 0.2612
Ag 0.0000 0.5000 0.8381
Ag 0.5000 0.0000 0.8381
Ag 0.5000 0.5000 0.7460
Te 0.0000 0.0000 0.3038
Te 0.0000 0.0000 0.7430
Te 0.0000 0.5000 0.1422
Te 0.0000 0.5000 0.5796
Te 0.5000 0.0000 0.1422
Te 0.5000 0.0000 0.5796
Te 0.5000 0.5000 0.4169
Te 0.5000 0.5000 0.9222

=====

# 3
The following is a theoretical powder diffraction line list of Cs3Li2Br5. It was derived from the PBE geometry in the Materials Project, using copper Kα.
Kinematic intensities with the Lorentz-polarization factor, no thermal factor.

Peak list (6 most intense, 10° ≤ 2θ ≤ 80°, by angle)
27.6 deg, d 3.227, I 50; 28.1 deg, d 3.171, I 100; 28.3 deg, d 3.157, I 97; 28.6 deg, d 3.119, I 47; 40.2 deg, d 2.243, I 33; 49.2 deg, d 1.851, I 35

Crystal structure
a b c (Å): 13.4635 13.4635 4.4640
angles (deg): 99.46 99.46 147.00
Sites, in units of the cell vectors:
Cs 0.0000 0.0000 0.0000
Cs 0.3835 0.6289 0.5297
Cs 0.6289 0.3835 0.5297
Li 0.2583 0.8263 0.5704
Li 0.8263 0.2583 0.5704
Br 0.1158 0.8780 0.5158
Br 0.2067 0.6825 0.9742
Br 0.4986 0.4986 0.0023
Br 0.6825 0.2067 0.9742
Br 0.8780 0.1158 0.5158

=====

# 4
The following is a theoretical powder diffraction line list of KErC2O6. It was derived from the PBE geometry in the Materials Project, using copper Kα.
Kinematic intensities with the Lorentz-polarization factor, no thermal factor.

Peak list (6 most intense, 10° ≤ 2θ ≤ 80°, by angle)
14.5 deg, d 6.104, I 100; 22.3 deg, d 3.983, I 26; 23.2 deg, d 3.828, I 40; 27.6 deg, d 3.235, I 46; 28.7 deg, d 3.108, I 87; 35.8 deg, d 2.508, I 26

Crystal structure
a b c (Å): 6.3821 6.3821 6.9253
angles (deg): 103.78 103.78 96.17
Sites, in units of the cell vectors:
K 0.1203 0.8797 0.7500
K 0.8797 0.1203 0.2500
Er 0.4041 0.5959 0.2500
Er 0.5959 0.4041 0.7500
C 0.1453 0.3900 0.7429
C 0.3900 0.1453 0.2429
C 0.6100 0.8547 0.7571
C 0.8547 0.6100 0.2571
O 0.0580 0.6046 0.2794
O 0.2166 0.2495 0.6165
O 0.2495 0.2166 0.1165
O 0.2978 0.5337 0.8934
O 0.3954 0.9420 0.2206
O 0.4663 0.7022 0.6066
O 0.5337 0.2978 0.3934
O 0.6046 0.0580 0.7794
O 0.7022 0.4663 0.1066
O 0.7505 0.7834 0.8835
O 0.7834 0.7505 0.3835
O 0.9420 0.3954 0.7206

=====

# 5
The following is a theoretical powder diffraction line list of Sr5Sn3. It was derived from the PBE geometry in the Materials Project, using copper Kα.
Kinematic intensities with the Lorentz-polarization factor, no thermal factor.

Peak list (6 most intense, 10° ≤ 2θ ≤ 80°, by angle)